Count the lines below that contain the word "one" and give the number alone.

........
Record 1
C: optimized geometry, PBE-GGA.

Computed properties:
* formation energy: 994.3 meV/atom
* polymorph energy (0 for the lowest one): 994 meV/atom

Unit cell a=10.6813 b=10.7477 c=10.4272 alpha=95.12 beta=86.77 gamma=89.89
Sites, in units of the cell vectors:
1 C 0.7022 0.5892 0.0718
2 C 0.7675 0.9167 0.8982
3 C 0.5208 0.6077 0.7693
4 C 0.0197 0.6600 0.2219
5 C 0.0204 0.5167 0.5439
6 C 0.1135 0.5332 0.4481
7 C 0.7820 0.4273 0.3612
8 C 0.1150 0.0849 0.8519
9 C 0.3544 0.2738 0.6879
10 C 0.1326 0.9714 0.8292
11 C 0.4064 0.5657 0.8500
12 C 0.0191 0.4159 0.7529
13 C 0.3639 0.6083 0.0807
14 C 0.4594 0.0469 0.5058
15 C 0.7618 0.0398 0.8684
16 C 0.7205 0.3357 0.2890
17 C 0.1443 0.7466 0.0481
18 C 0.2311 0.8039 0.9583
19 C 0.0901 0.5040 0.6702
20 C 0.1091 0.9762 0.1095
21 C 0.2283 0.6821 0.6558
22 C 0.7765 0.3633 0.7858
23 C 0.7050 0.2557 0.7932
24 C 0.4070 0.1920 0.2182
25 C 0.0233 0.1980 0.6462
26 C 0.9416 0.7040 0.8742
27 C 0.8963 0.4988 0.3497
28 C 0.1928 0.2841 0.9387
29 C 0.7567 0.8754 0.0196
30 C 0.5505 0.5191 0.4434
31 C 0.4508 0.4615 0.3787
32 C 0.5251 0.6052 0.9223
33 C 0.2848 0.2924 0.0377
34 C 0.0631 0.7303 0.8137
35 C 0.5744 0.5599 0.0453
36 C 0.9687 0.7781 0.2672
37 C 0.7372 0.8057 0.1092
38 C 0.7517 0.1418 0.8266
39 C 0.4727 0.9837 0.1143
40 C 0.9623 0.5604 0.2661
41 C 0.7896 0.0346 0.3729
42 C 0.6541 0.6824 0.2940
43 C 0.4670 0.5525 0.1350
44 C 0.7550 0.8131 0.7949
45 C 0.5794 0.0172 0.4720
46 C 0.4018 0.6665 0.9631
47 C 0.2753 0.3493 0.5186
48 C 0.9138 0.6519 0.9858
49 C 0.6360 0.4925 0.5537
50 C 0.1998 0.5279 0.3656
51 C 0.1082 0.8694 0.0220
52 C 0.9395 0.8841 0.3098
53 C 0.3682 0.3539 0.4162
54 C 0.0190 0.0805 0.4166
55 C 0.1098 0.2165 0.8622
56 C 0.3963 0.2276 0.3585
57 C 0.2735 0.3879 0.9460
58 C 0.8201 0.7037 0.8146
59 C 0.9012 0.5050 0.4965
60 C 0.2519 0.0489 0.4151
61 C 0.2836 0.5363 0.2620
62 C 0.1377 0.6637 0.1387
63 C 0.7036 0.7013 0.1700
64 C 0.2659 0.9296 0.4407
65 C 0.3238 0.4578 0.8498
66 C 0.2742 0.7491 0.5751
67 C 0.0118 0.1390 0.5420
68 C 0.5764 0.2535 0.7703
69 C 0.5463 0.8547 0.6534
70 C 0.7706 0.5785 0.8436
71 C 0.6076 0.1206 0.2706
72 C 0.5005 0.0876 0.1914
73 C 0.6597 0.2386 0.2695
74 C 0.0297 0.2758 0.7658
75 C 0.5404 0.7352 0.7139
76 C 0.6447 0.8083 0.7242
77 C 0.1234 0.6421 0.7273
78 C 0.2889 0.8286 0.4866
79 C 0.1343 0.0698 0.3462
80 C 0.1317 0.0281 0.2154
81 C 0.2515 0.5992 0.1532
82 C 0.8017 0.5831 0.9783
83 C 0.4139 0.5093 0.2580
84 C 0.3143 0.2315 0.5677
85 C 0.7639 0.4645 0.4961
86 C 0.4254 0.8969 0.0429
87 C 0.6171 0.5175 0.6871
88 C 0.6045 0.6143 0.3714
89 C 0.1303 0.8476 0.8730
90 C 0.5217 0.9501 0.5732
91 C 0.6665 0.0470 0.3686
92 C 0.2237 0.4358 0.6302
93 C 0.9123 0.3630 0.7900
94 C 0.3584 0.1347 0.4625
95 C 0.7178 0.4842 0.7687
96 C 0.3654 0.8042 0.9753
97 C 0.3431 0.2455 0.1301
98 C 0.2952 0.3977 0.7250
99 C 0.4670 0.2435 0.7400
100 C 0.9106 0.0071 0.3642



Record 2
C: optimized geometry, PBE-GGA.

Computed properties:
* formation energy: 438.4 meV/atom
* polymorph energy (0 for the lowest one): 438 meV/atom

Unit cell a=4.1373 b=4.1373 c=2.5120 alpha=90.00 beta=90.00 gamma=141.89
Sites, in units of the cell vectors:
1 C 0.6894 0.3106 0.5000
2 C 0.5859 0.4141 0.0000
3 C 0.3106 0.6894 0.5000
4 C 0.4141 0.5859 0.0000



Record 3
C: optimized geometry, PBE-GGA.

Computed properties:
* formation energy: 138.3 meV/atom
* polymorph energy (0 for the lowest one): 138 meV/atom

Unit cell a=2.5270 b=2.5270 c=2.5270 alpha=60.00 beta=60.00 gamma=60.00
Sites, in units of the cell vectors:
1 C 0.2500 0.2500 0.2500
2 C 0.0000 0.0000 0.0000



Record 4
C: optimized geometry, PBE-GGA.

Computed properties:
* formation energy: 765.2 meV/atom
* polymorph energy (0 for the lowest one): 765 meV/atom

Unit cell a=5.2174 b=5.2174 c=5.2174 alpha=90.00 beta=90.00 gamma=90.00
Sites, in units of the cell vectors:
1 C 0.5000 0.1515 0.8485
2 C 0.1515 0.1515 0.5000
3 C 0.1515 0.5000 0.8485
4 C 0.5000 0.8485 0.1515
5 C 0.1515 0.8485 0.5000
6 C 0.1515 0.5000 0.1515
7 C 0.5000 0.1515 0.1515
........

4